SAN FRANCISCO – On Sept. 12, Fast Track came back from the dead. The proposal to give the Bush administration new trade negotiation authority, which had no chance of passage through Congress earlier this year, was resurrected from the political boneyard in the new post-Sept. 11 world.

Today, Fast Track is alive and well, and Congress seems more ready to approve it than it has been for years.

The difference? The administration has cast it as an issue of national security and included it in a host of other pro-corporate measure it says are necessary to improve an economy already in a tailspin into recession.

Fast Track legislation would allow the administration to negotiate an extension of the North American Free Trade Agreement to include all of the countries from Canada to Tierra del Fuego – the proposed Free Trade Agreement of the Americas. The new treaty would then be reported back to Congress, which would only be able to vote it up or down. No changes or amendments would be permitted.

That’s what happened in 1993, when the Clinton administration got NAFTA through Congress. The cost of that experiment in trade libaralization is still playing out along the border, as well as in closed factories around the country.

Plants from Price-Pfister’s plumbing supplies factory in Los Angeles’ San Fernando Valley to the country’s last television factory – Zenith’s facility in Missouri – all relocated production south to take advantage of low wages.

~~~
# 1
Diffraction record for KNdPb2Br8. The powder diffraction line list is calculated, not measured: it uses the PBE geometry in Alexandria and Cu Kα (λ = 1.5418 Å).
Peak positions follow from Bragg's law for the DFT cell and can differ from measured ones.

Structural model:
Cell: 6.9326 9.2970 7.2946 Å, 90.00 90.79 90.00°
Space group P2/m (No. 10)
One atom of each set of equivalent atoms:
K 0.0000 0.0000 0.0000
Nd 0.0000 0.5000 0.0000
Pb 0.5000 0.2467 0.5000
Br 0.2422 0.2754 0.1566
Br 0.2451 0.5000 0.6733
Br 0.2711 0.0000 0.6382

Peak list (8 most intense, 2θ = 10–90°, sorted by position)
2θ/deg  d (Å)  I/Imax
17.5  5.060  86
17.8  4.990  81
23.0  3.861  75
26.0  3.423  100
27.8  3.209  52
34.4  2.606  77
34.7  2.587  76
41.9  2.154  73


# 2
Diffraction record for KNdSeBr. The powder diffraction line list is calculated, not measured: it uses the PBE geometry in Alexandria and Cu Kα (λ = 1.5418 Å).
Peak positions follow from Bragg's law for the DFT cell and can differ from measured ones.

Structural model:
Cell: 4.2254 4.2254 24.4556 Å, 90.00 90.00 120.00°
Space group R3m (No. 160, hexagonal axes)
One atom of each set of equivalent atoms:
K 0.0000 0.0000 0.0000
Nd 0.0000 0.0000 0.8172
Se 0.0000 0.0000 0.4164
Br 0.0000 0.0000 0.2319

Peak list (8 most intense, 2θ = 10–90°, sorted by position)
2θ/deg  d (Å)  I/Imax
10.9  8.152  56
25.4  3.506  49
30.5  2.930  100
35.5  2.527  35
42.8  2.113  42
44.6  2.033  27
53.5  1.714  20
63.4  1.466  27


# 3
Diffraction record for K3Ni2Br9. The powder diffraction line list is calculated, not measured: it uses the PBE geometry in Alexandria and Cu Kα (λ = 1.5418 Å).
Peak positions follow from Bragg's law for the DFT cell and can differ from measured ones.

Structural model:
Cell: 12.0348 12.0348 21.7079 Å, 90.00 90.00 120.00°
Space group R-3c (No. 167, hexagonal axes)
One atom of each set of equivalent atoms:
K 0.0000 0.3368 0.2500
Ni 0.0000 0.0000 0.1766
Br 0.0000 0.1606 0.7500
Br 0.0062 0.1725 0.1143

Peak list (8 most intense, 2θ = 10–90°, sorted by position)
2θ/deg  d (Å)  I/Imax
11.8  7.518  50
14.7  6.017  28
18.4  4.814  15
24.6  3.618  15
30.6  2.917  17
32.2  2.778  100
38.9  2.313  21
52.7  1.737  25


Q: Which formula does entry 1 have?
A: KNdPb2Br8
~~~

Since the treaty was signed, the U.S. Department of Labor has certified more than 500,000 workers for special extended unemployment benefits, because NAFTA cost them their jobs.

According to Cornell professor Kate Bronfenbrenner, since NAFTA passed the number of times has more than doubled in which U.S. employers have told unions across the bargaining table that if they didn’t agree to give up wages and benefits, their factories would move production out of the country.

Critics of the treaty at the time predicted that NAFTA would pour gasoline on the fires of economic change in Mexico, leading to escalating poverty and displacement of people. The country lost a million jobs in the year after the treaty took effect and under new President Vicente Fox another half-million jobs have disappeared. The ubiquitous signs advertising for workers on the gates of maquiladoras have disappeared for the first time.

NAFTA’s critics called the protections proposed by its defenders (the North American Agreement on Labor Cooperation – the so-called labor side-agreement) so weak and ineffective that workers’ rights would inevitably be sacrificed in the interests of providing a favorable climate for investment. Strikes at the Han Young factory in Tijuana were suppressed in 1998 and 1999, and efforts to organize independent unions in the maquiladoras were broken all along the border.

When the Clinton administration made its own Fast Track proposal in 1998, then-House Whip David Bonior used those border battles as examples of free trade-gone-awry, and handed Clinton a humiliating defeat.

Until Sept. 11, Bush was facing the same prospect. After seven years, the results on the border continue to be hard to miss. It’s harder than ever to use the Mexican legal process to organize an independent union and strike, and the income of maquiladora workers has plummeted.

The pressure on workers to cross the border and find jobs in the North has increased, and every year hundreds die on the trek across the desert. Of course, free trade means free passage for money and goods – not for hungry and desperate people.

NAFTA and other free trade agreements, touted as a means for the world’s poor to lift themselves from poverty, have had the opposite effect, according to a recent study by Washington’s Economic Policy Institute. EPI found that the income of the world’s 400 million poorest people, which was 79 cents a day in 1990, decreased to 78 cents a day in 1999.

Meanwhile, the gap between the world’s rich and poor mushroomed. The median income of the richest 10 percent of countries, which was 77 times greater than the poorest 10 percent in 1980, was 122 times greater in 1999. Statistics be damned, however – the push for Fast Track is on.

Within two weeks of the horrifying events in New York and Washington, the proposal was back in the House Ways and Means committee, which voted it out in early October. The administration told its allies that expanding free trade agreements was necessary to entice other countries into its anti-terrorism coalition.

Republican lawmakers hope to get the full House to debate the proposal during the World Trade Organization meeting in Doha, Qatar, which opened Nov. 9. A spokesperson for House Speaker Dennis Hastert, John Feehery, said it was “pretty likely” that the bill would be taken up this year, and gave it an 85 percent chance of passage.

The Business Roundtable has prepared a radio advertising blitz, targeting 20 uncommitted House legislators, mostly pro-free trade Democrats. Their votes, added to the Republicans the administration knows it can count on, could make up a majority.

In 1993, the Clinton administration passed out dams, freeways and anything else it could find a way to fund as enticements for the votes it needed to pass NAFTA. The wheeling and dealing on this one is just starting.

